Most of us develop stubborn pockets of fat with age. Sometimes, these problem areas can be mitigated by adopting a healthful diet and a consistent exercise regime. Other times, however, it seems that no matter how much kale you consume or hours you devote to the gym, these pockets of fat do not budge. It is incredibly frustrating for patients. This is one of the many reasons why liposuction is one of my favorite procedures. I love the fact that it is so effective, allowing me to precisely sculpt a patient’s body contour into his or her ideal proportion. It is also incredibly versatile. I can liposuction excess fat almost anywhere on your body including the:
- Abdomen
- Flanks
- Hips
- Thighs
- Arms
- Knees
- Chin
- Neck
When it comes to delivering an exemplary result, my experience and skill are of utmost importance. But so is managing your expectations. This includes explaining what to realistically expect in terms of both your results and recovery, and being upfront and honest about the cost of your liposuction in Boston.
How Much Does Liposuction Cost?
The cost of your liposuction procedure is going to depend on a number of factors. These include:
- Area or areas being addressed
[Data records that have nothing to do with the text]
____________
# C22H17BBr2F3O12

A cluster of 2 separate species, C22H17BBr2F3O12 in total (ωB97M-V with the def2-TZVPD basis set, the OMol25 dataset).

Cartesian coordinates (Å):
1 C 4.240 0.671 2.519
2 O 4.714 1.066 1.253
3 C 3.685 1.569 0.410
4 C 3.331 3.021 0.731
5 C 1.966 3.445 0.183
6 C 0.837 2.555 0.650
7 C -0.020 1.983 -0.281
8 C -1.050 1.144 0.125
9 O -1.847 0.501 -0.778
10 C -1.215 0.882 1.484
11 C -0.351 1.453 2.416
12 C 0.665 2.298 2.004
13 C -0.535 1.103 3.855
14 O -0.277 1.869 4.759
15 C -1.057 -0.272 4.095
16 C -1.882 -0.828 3.208
17 C -2.458 -2.210 3.356
18 C -2.629 -2.997 2.050
19 C -1.307 -3.348 1.368
20 F -0.456 -2.283 1.354
21 Br -1.696 -3.827 -0.483
22 C -0.550 -4.489 2.102
23 F -1.416 -5.427 2.515
24 F 0.024 -3.955 3.201
25 Br 0.874 -5.370 1.097
26 C -2.271 -0.019 2.000
27 O -3.390 -0.101 1.539
28 H 3.368 0.014 2.426
29 H 5.044 0.122 3.008
30 H 3.985 1.528 3.153
31 H 2.810 0.918 0.483
32 H 4.087 1.523 -0.602
33 H 3.359 3.194 1.809
34 H 4.106 3.658 0.299
35 H 1.970 3.457 -0.908
36 H 1.751 4.464 0.516
37 H 0.106 2.180 -1.337
38 H -2.657 0.998 -0.932
39 H 1.315 2.729 2.756
40 H -0.733 -0.793 4.988
41 H -3.455 -2.117 3.799
42 H -1.866 -2.776 4.075
43 H -3.131 -3.936 2.279
44 H -3.269 -2.478 1.345
45 B -0.979 -0.090 -5.687
46 O -1.731 0.880 -4.856
47 C -0.964 1.300 -3.872
48 O -1.257 2.082 -3.010
49 C 0.404 0.606 -3.999
50 O 1.336 0.773 -3.263
51 O 0.356 -0.185 -5.054
52 O -1.653 -1.397 -5.735
53 C -1.933 -1.707 -6.994
54 O -2.479 -2.700 -7.375
55 C -1.427 -0.551 -7.883
56 O -1.512 -0.490 -9.074
57 O -0.884 0.359 -7.086

Cartesian forces, eV/Å:
0.184 0.010 -0.011
-0.040 -0.024 -0.048
0.268 0.203 0.163
0.018 0.030 -0.119
-0.128 -0.037 0.068
0.141 0.148 -0.177
0.071 -0.031 -0.017
-0.216 0.102 0.346
0.148 -0.144 -0.083
-0.086 -0.159 0.036
0.107 0.115 -0.015
-0.248 -0.095 0.306
-0.037 0.039 0.028
0.225 -0.176 -0.012
-0.002 0.024 -0.209
0.251 -0.192 -0.031
-0.376 0.147 0.087
0.188 -0.180 0.330
-0.272 -0.130 -0.473
0.006 0.010 -0.103
0.060 -0.036 0.260
0.452 -0.079 -0.105
0.029 -0.045 -0.062
-0.131 -0.100 0.041
-0.275 0.261 0.189
-0.063 0.121 0.089
0.041 -0.106 -0.052
-0.054 0.011 0.032
-0.006 -0.008 -0.009
-0.116 -0.006 -0.004
-0.053 -0.013 -0.090
-0.143 -0.161 -0.060
-0.015 -0.125 0.026
-0.014 0.075 0.086
0.049 -0.022 -0.012
0.071 0.051 -0.073
0.001 -0.124 0.015
-0.006 0.012 -0.048
0.026 0.053 -0.013
-0.110 0.117 0.119
-0.027 0.007 -0.095
0.044 0.072 0.003
-0.013 -0.025 -0.058
0.141 0.222 0.001
-0.002 -0.032 -0.033
0.084 -0.051 0.025
-0.123 0.066 0.042
-0.156 0.221 -0.288
0.182 -0.095 -0.049
0.010 0.025 0.019
-0.083 0.048 0.034
0.035 0.081 -0.068
-0.061 -0.144 0.149
-0.007 -0.010 -0.018
0.080 0.178 -0.098
-0.007 -0.012 -0.017
-0.040 -0.087 0.058

Computed properties:
total charge = -1
spin multiplicity = 1
LUMO energy = 1.1 eV
____________
- Whether procedure is performed under local or general anesthesia?
- Is Renuvion® also being performed for skin tightening?
- Is liposuction a stand-alone procedure or being combined with another surgical procedure?
For my Boston area patients, the cost of a liposuction procedure is really going to depend on the amount of time that it will take me to correct your body contouring issues. For example, excising excess fat in your neck is going to cost less than re-contouring your abdomen and waist. The former will run anywhere from $3,500 – $4,500 while the latter ranges from $7,000 – $9,000.
Local Anesthesia versus General Anesthesia
One of the biggest determining factors when it comes to cost, other than my time, is anesthesia. Some liposuction procedures can be safely performed under local anesthesia in the office. This means no separate anesthesiologist fee. I numb the treatment area with a local anesthetic and tumescent. Tumescent is dilute lidocaine. This works extremely well for small areas of extra fat such as under the chin and around the neck. However, I will also often perform liposuction of the abdomen and waist under local anesthesia.
Whether or not your liposuction procedure can be performed under local anesthesia is going to depend on the:
- Volume of fat that needs to be removed
- Amount of overall time required to produce ideal result
Obviously, these two factors work hand in hand. The higher the volume of fat to be removed, the more time it will take. In general, my rule of thumb with local anesthesia is that the overall time must be under 2 hours. My first priority with any procedure is the safety of my patient. So, when general anesthesia is necessary, I will let you know.
Renuvion® for Skin Tightening
Another variable that can affect how much your liposuction procedure will cost is whether or not I think adding a Renuvion® procedure for skin tightening will be beneficial. One of the only downsides to liposuction is that while it is an excellent procedure for addressing excess fat, it cannot address loose, sagging skin. Not only that, but it may even contribute to the problem. If you think of your abdomen, for example, like a balloon, I can liposuction away some of the air inside. But if the outside “tissue” has weakened with:
- Age
- Over-stretching due weight gain/loss
- Pregnancy
You will be left with a flatter stomach, but one that may have unsightly wrinkles of sagging skin. This is why in cases where the skin and tissues exhibit moderate to severe sagging, I may recommend a tummy tuck. However, when there is just a mild to moderate degree of weakness in the skin, Renuvion® can be a game-changer. This cutting-edge, non-surgical procedure uses radiofrequency (RF) waves that have been energized by helium gas to tighten and smooth out the skin and tissues in the treatment area. I have found that the 1-2 punch of liposuction and Renuvion® can deliver a truly life-altering result.
Liposuction Combined with Another Procedure
While liposuction can be a fantastic stand-alone procedure, I will often combine it with a non-surgical procedure, such as Renuvion®, or another surgical procedure like a tummy tuck. It may seem like overkill to add liposuction to your abdominoplasty, but it is not. I take a 360° approach to every body contouring issue. So, while a tummy tuck will lift and flatten the abdomen, I will frequently use liposuction to smooth out the transition to your hips and/or flanks. The goal is to restore an ideal proportion to your entire torso.
When you think about why you are bothered by lumps and bumps, it is because they distort your body proportion. The human eye likes a smooth, fluid contour. So, if yours is making you feel jagged, make an appointment to come in and speak with me about liposuction. It really is worth the cost.
To find out more about the cost of liposuction with Dr. Sean Doherty at his Boston or Brookline office, contact us today or call (617) 450.0070 to schedule a consultation.